Major study reveals type two diabetes link to shorter life across all society

Type two diabetes is linked to a shorter life expectancy across all levels of society in Scotland, a new study has suggested.

Published 6th Nov 2017

Type two diabetes is linked to a shorter life expectancy across all levels of society in Scotland, a new study has suggested.

Researchers analysed health records of more than three million people and found the likely projected lifespan was lower by up to 5.5 years for some people with the condition compared to those without.

Around one in 20 people in Scotland have diabetes - 90% of those are diagnosed with type two - and the condition is estimated to cost NHS Scotland ÂŁ1 billion per year.

Type two diabetes occurs when the pancreas does not produce enough insulin or the body's cells do not react to insulin, creating an inability to control blood sugar levels.

The chronic condition is linked to obesity and is more likely to be diagnosed in older people.

Treatment involves controlling diet or medication, unlike type one diabetes which is typically treated with injections of insulin as the body produces none.

The study is the first of its kind to get a snapshot of type two diabetes and life expectancy in a national population.

Researchers at Scottish universities compared the anonymised health records of more than 250,000 people with type two diabetes against 2.8 million people without the condition across Scotland, and generated life expectancies for those aged 40-89 in 2012 to 2014.

The study considered the data alongside an indicator showing the level of deprivation in an area.

Researchers found life expectancy was lower for those in the type two diabetes group compared to those without across almost every five-year age band and at all levels of deprivation, with the only exception men aged 80 and over in the most deprived areas.

The drop in life expectancy for those with the condition ranged from an estimated 5.5 year reduction for women aged 40-44 to a 0.1 year fall for men aged 85-89.

Sarah Wild, Professor of epidemiology at Edinburgh University, which led the research, said: “Our study suggests that to improve life expectancy, we should encourage prevention and management for type two diabetes across all of society.

“Our next steps will be to investigate the relationship between socioeconomic status and factors that could be affecting lifespan, such as heart disease.

“Although type two diabetes is a serious condition, healthy lifestyle choices can have a positive impact on management.''

These data records were left in the piece by mistake =
+++
Entry 1:
Here is a structure of composition C12H28AlBeCaF4IMgN4O14PS2 at a distorted geometry from the Open Molecules 2025 dataset. Energies are from ωB97M-V/def2-TZVPD.

Cartesian coordinates (Å):
O 3.88076 1.38251 2.05805
P 3.41187 1.30739 0.52581
I 3.98506 3.45137 -0.42570
C 1.57485 1.25216 0.52589
C 0.74769 1.62497 1.75303
C -0.68846 1.22161 1.26440
N -0.47636 0.26921 0.08486
C 0.98758 -0.11692 0.23634
H 4.72760 0.89746 2.14290
H 1.27548 1.93575 -0.27758
H 0.76916 2.65120 2.10632
H 0.91743 0.97068 2.61350
H -1.10274 2.14695 0.87598
H -1.36295 0.73337 1.99775
H -0.57973 0.76998 -0.80121
H -0.95362 -0.62842 0.12124
H 1.40345 -0.72673 -0.55681
H 1.00482 -0.59649 1.21466
C -1.18535 1.22530 -3.79387
O -0.20873 1.83050 -3.39303
N -1.07124 -0.06541 -4.35100
N -2.44235 1.67924 -3.73585
H -1.89061 -0.52337 -4.72823
H -0.15299 -0.47561 -4.44326
H -2.60516 2.59081 -3.35256
H -3.24463 1.13697 -4.01512
C 5.58836 -1.44456 0.56993
O 4.38936 -1.59393 0.29000
O 6.00799 -0.64368 1.44409
O 6.50512 -2.07403 0.00967
Be -1.77683 -2.04743 -3.42626
C 0.65114 4.64015 4.17876
O -0.13513 3.58914 3.84803
H 0.18617 5.43048 4.78565
H 1.57721 4.38178 4.73791
H 1.05912 5.18775 3.29888
F -1.54309 -3.54119 -4.72879
Al -1.84633 -4.83233 -5.89595
F -0.42102 -5.04037 -6.71783
F -3.06826 -4.23829 -6.85843
F -2.30401 -6.15648 -5.00940
Mg -1.39761 0.63754 4.15416
C -3.23906 7.03839 3.35565
N -2.02354 7.54021 4.05300
O -2.17089 8.06771 5.13239
O -0.96346 7.37948 3.48527
H -4.10025 7.24900 3.97813
H -3.30219 7.55684 2.40393
H -3.10696 5.97045 3.20917
O -7.14505 0.92625 -2.14904
S -5.74572 1.24189 -1.84107
O -5.02129 0.24145 -1.11051
O -5.81924 2.55915 -1.01584
O -5.07052 1.64453 -3.11805
Ca -6.74457 3.69118 -2.52149
C 2.07612 -5.52388 1.78962
C 3.10454 -4.54581 1.20397
C 3.38278 -4.96241 -0.24284
S 1.87691 -5.76300 -0.82284
O 2.15865 -7.14396 -1.09070
O 1.23166 -4.91699 -1.79910
C 0.98654 -5.65048 0.72997
H 1.66733 -5.17247 2.73603
H 2.54720 -6.49198 1.96715
H 2.69266 -3.53340 1.20947
H 4.01991 -4.53101 1.79391
H 3.59333 -4.10939 -0.88268
H 4.19366 -5.68412 -0.31470
H 0.35434 -6.52729 0.84663
H 0.37407 -4.74940 0.68769

Its gap between HOMO and LUMO is 1.80 eV. The value obtained for the LUMO energy is -7.40 eV. The net charge is +1. As for the calculated total energy: -4715.7823 hartree.



Entry 2:
Here is a structure of composition C12H28BBaN at a distorted geometry from the Open Molecules 2025 dataset. Energies are from ωB97M-V/def2-TZVPD.

Cartesian coordinates (Å):
C 0.66931 -2.19346 0.78968
C 2.11812 -2.57485 0.36514
C 2.52054 -1.64768 -0.84154
C 3.16204 -0.35158 -0.25884
C 2.38608 0.95733 -0.66076
C 1.98334 1.79866 0.57889
C 1.32912 3.13780 0.10615
C -0.23349 3.13260 0.17413
C -0.86208 1.70634 0.16949
C -2.30442 1.76738 -0.49529
C -2.70910 0.27234 -0.88059
B -3.00096 -0.62383 0.39226
C -3.00696 -2.22332 0.22171
N -2.33804 -2.62613 -1.02678
H 0.62156 -1.12234 1.09245
H 0.36897 -2.77632 1.68392
H -0.07172 -2.35635 -0.00692
H 2.83127 -2.41582 1.18862
H 2.15865 -3.64602 0.11886
+++

The study was published in the journal Diabetologia and was supported by the Scottish Diabetes Group.